• What to do:
Please set down the data underneath from the line with "-1.1796 4.0268" to the end without additions.

• Data:
Entry 1:
The following is a quantum chemistry calculation of a molecular structure, C18H19F2N2 at a distorted geometry, from OMol25.

Each line ends with the natural charge from an NBO analysis.
Cartesian coordinates (Å):
C1 4.0813 -1.4906 3.1273  -0.414
N1 3.2413 -1.7055 1.9672  -0.220
C2 2.9385 -3.1000 1.7175  -0.440
N2 2.1808 -0.8277 1.9211  -0.172
C3 1.3175 -0.8799 0.9903  0.016
H1 4.9944 -2.0806 2.9871  0.219
H2 4.3333 -0.4300 3.2069  0.226
H3 3.6102 -1.8133 4.0721  0.193
H4 3.8959 -3.6363 1.7293  0.234
H5 2.2895 -3.5570 2.4877  0.203
H6 2.4673 -3.2207 0.7393  0.202
H7 0.5505 -0.0592 0.8854  0.117
H8 1.2833 -1.7705 0.3321  0.210
F1 2.0245 3.3257 -3.3847  -0.313
C4 1.9163 3.1332 -2.0274  0.411
C5 2.6966 3.9112 -1.1805  -0.219
C6 2.5606 3.6966 0.1972  -0.182
C7 1.6746 2.7352 0.6845  -0.167
C8 0.9125 1.9435 -0.1861  -0.089
C9 -0.0262 0.9230 0.4027  -0.080
C10 -1.1793 0.5430 -0.4589  -0.263
C11 -2.3149 -0.0125 0.0396  -0.018
C12 -3.4043 -0.5271 -0.7614  -0.122
C13 -3.3703 -0.4917 -2.1798  -0.230
C14 -4.4232 -1.0587 -2.8903  0.405
F2 -4.3745 -1.0317 -4.2645  -0.317
C15 -5.5259 -1.6562 -2.2817  -0.218
C16 -5.5659 -1.6667 -0.8778  -0.191
C17 -4.5322 -1.1102 -0.1329  -0.153
C18 1.0352 2.1514 -1.5713  -0.241
H9 3.3821 4.6519 -1.5849  0.256
H10 3.1551 4.2826 0.8971  0.241
H11 1.5599 2.5934 1.7618  0.228
H12 -0.4487 1.3619 1.3273  0.275
H13 -1.1211 0.7664 -1.5214  0.218
H14 -2.4421 -0.0880 1.1250  0.218
H15 -2.5313 -0.0419 -2.7068  0.229
H16 -6.3195 -2.0927 -2.8831  0.253
H17 -6.4181 -2.1196 -0.3710  0.239
H18 -4.5666 -1.1213 0.9580  0.223
H19 0.4627 1.5704 -2.2920  0.235

Computed properties:
Net charge: +1
Energy relative to the best compared isomer or geometry (same formula, charge and spin) (kJ/mol): 455.0
HOMO-LUMO gap (eV): 6.4

---

Entry 2:
The following is a quantum chemistry calculation of a molecular structure, C33H50AsN2O8RhS2 at a distorted geometry, from OMol25.

Each line ends with the Löwdin charge.
Cartesian coordinates (Å):
Rh1 -0.0829 0.0022 -0.2705  1.032
C1 -2.6499 -0.4286 2.6014  -0.068
C2 -2.5579 0.6033 3.7224  -0.353
C3 -2.2814 -0.1075 5.0570  -0.055
C4 -1.6098 1.7800 3.5509  -0.129
C5 -1.9336 2.8735 4.3459  -0.048
C6 -1.1796 4.0268 4.3468  -0.065
C7 -0.0891 4.1087 3.5069  -0.038
C8 0.2739 3.0580 2.6774  -0.126
C9 1.4774 3.3244 1.8011  -0.357
C10 2.3913 2.1297 1.5547  -0.074
C11 0.9767 3.9195 0.4810  -0.047
C12 -0.4811 1.8639 2.7063  -0.170
N1 -0.0439 0.7307 2.0122  0.051
C13 0.3336 -0.2827 2.7255  -0.107
C14 0.7415 -1.5042 2.1852  -0.322
C15 1.1323 -2.6742 2.8705  -0.018
C16 1.4772 -3.5840 1.9019  -0.032
C17 1.3061 -2.9452 0.6488  -0.259
N2 0.8446 -1.7059 0.8309  0.025
C18 1.6905 -3.5711 -0.6597  -0.526
C19 0.7808 -4.7883 -0.8899  -0.036
C20 3.1511 -4.0425 -0.5713  -0.033
C21 1.5700 -2.5897 -1.8257  -0.047
H1 -3.6190 -0.9225 2.6478  0.088
H2 -1.8885 -1.1980 2.6919  0.066
H3 -2.5423 0.0395 1.6228  0.021
H4 -3.5492 1.0654 3.8048  0.134
H5 -1.3329 -0.6383 5.0254  0.065
H6 -3.0656 -0.8354 5.2543  0.081
H7 -2.2489 0.6009 5.8820  0.075
H8 -2.8001 2.8140 4.9893  0.114
H9 -1.4434 4.8515 4.9913  0.103
H10 0.5080 5.0096 3.4959  0.113
H11 2.0795 4.0877 2.3121  0.129
H12 1.9381 1.4476 0.8382  0.017
H13 2.6007 1.5949 2.4793  0.087
H14 3.3362 2.4739 1.1397  0.088
H15 0.1441 3.3268 0.1082  0.049
H16 1.7669 3.9190 -0.2658  0.080
H17 0.6248 4.9376 0.6300  0.084
H18 0.3739 -0.1876 3.8111  0.148
H19 1.1396 -2.8067 3.9341  0.104
H20 1.8282 -4.5865 2.0518  0.102
H21 0.8925 -5.5061 -0.0792  0.082
H22 1.0431 -5.2798 -1.8268  0.085
H23 -0.2593 -4.4716 -0.9227  0.060
H24 3.2724 -4.8452 0.1505  0.078
H25 3.7936 -3.2167 -0.2811  0.085
H26 3.4800 -4.4074 -1.5411  0.086
H27 0.6030 -2.0840 -1.8136  0.026
H28 1.6779 -3.1224 -2.7690  0.088
H29 2.3516 -1.8371 -1.7654  0.069
O1 -3.9226 0.6048 -0.8335  -0.310
As1 -2.2666 1.3917 -0.7511  1.060
O2 -1.9339 -1.5416 -0.5982  -0.440
O3 -2.5528 2.5698 0.3278  -0.487
C22 -2.4957 2.2943 -2.5221  -0.272
C23 -3.6650 3.0213 -2.6861  -0.074
C24 -3.9158 3.6773 -3.8796  -0.057

• Reply:
C6 -1.1796 4.0268 4.3468  -0.065
C7 -0.0891 4.1087 3.5069  -0.038
C8 0.2739 3.0580 2.6774  -0.126
C9 1.4774 3.3244 1.8011  -0.357
C10 2.3913 2.1297 1.5547  -0.074
C11 0.9767 3.9195 0.4810  -0.047
C12 -0.4811 1.8639 2.7063  -0.170
N1 -0.0439 0.7307 2.0122  0.051
C13 0.3336 -0.2827 2.7255  -0.107
C14 0.7415 -1.5042 2.1852  -0.322
C15 1.1323 -2.6742 2.8705  -0.018
C16 1.4772 -3.5840 1.9019  -0.032
C17 1.3061 -2.9452 0.6488  -0.259
N2 0.8446 -1.7059 0.8309  0.025
C18 1.6905 -3.5711 -0.6597  -0.526
C19 0.7808 -4.7883 -0.8899  -0.036
C20 3.1511 -4.0425 -0.5713  -0.033
C21 1.5700 -2.5897 -1.8257  -0.047
H1 -3.6190 -0.9225 2.6478  0.088
H2 -1.8885 -1.1980 2.6919  0.066
H3 -2.5423 0.0395 1.6228  0.021
H4 -3.5492 1.0654 3.8048  0.134
H5 -1.3329 -0.6383 5.0254  0.065
H6 -3.0656 -0.8354 5.2543  0.081
H7 -2.2489 0.6009 5.8820  0.075
H8 -2.8001 2.8140 4.9893  0.114
H9 -1.4434 4.8515 4.9913  0.103
H10 0.5080 5.0096 3.4959  0.113
H11 2.0795 4.0877 2.3121  0.129
H12 1.9381 1.4476 0.8382  0.017
H13 2.6007 1.5949 2.4793  0.087
H14 3.3362 2.4739 1.1397  0.088
H15 0.1441 3.3268 0.1082  0.049
H16 1.7669 3.9190 -0.2658  0.080
H17 0.6248 4.9376 0.6300  0.084
H18 0.3739 -0.1876 3.8111  0.148
H19 1.1396 -2.8067 3.9341  0.104
H20 1.8282 -4.5865 2.0518  0.102
H21 0.8925 -5.5061 -0.0792  0.082
H22 1.0431 -5.2798 -1.8268  0.085
H23 -0.2593 -4.4716 -0.9227  0.060
H24 3.2724 -4.8452 0.1505  0.078
H25 3.7936 -3.2167 -0.2811  0.085
H26 3.4800 -4.4074 -1.5411  0.086
H27 0.6030 -2.0840 -1.8136  0.026
H28 1.6779 -3.1224 -2.7690  0.088
H29 2.3516 -1.8371 -1.7654  0.069
O1 -3.9226 0.6048 -0.8335  -0.310
As1 -2.2666 1.3917 -0.7511  1.060
O2 -1.9339 -1.5416 -0.5982  -0.440
O3 -2.5528 2.5698 0.3278  -0.487
C22 -2.4957 2.2943 -2.5221  -0.272
C23 -3.6650 3.0213 -2.6861  -0.074
C24 -3.9158 3.6773 -3.8796  -0.057